Exercise >
It remains to filter the calculation results further down: keep the lines with the word "the".

Excerpt >
=====
Entry 1:
Material: Be22Mo
Method: DFT, r2SCAN
State: optimized geometry

abc: 8.1839 8.1839 8.1838
angles: 60.00 60.00 60.00
Last column: nearest neighbours and their distance in Å.
Element x y z (fractional)
Be (0.0000, 0.0000, 0.0000)  12 Be 2.05-2.26
Be (0.0000, 0.0000, 0.5000)  12 Be 2.05-2.26
Be (0.5000, 0.0000, 0.0000)  12 Be 2.05-2.26
Be (0.0000, 0.5000, 0.0000)  12 Be 2.05-2.26
Be (0.5000, 0.5000, 0.5000)  12 Be 2.46, 2 Mo 2.51
Be (0.5000, 0.5000, 0.0000)  12 Be 2.46, 2 Mo 2.51
Be (0.0000, 0.5000, 0.5000)  12 Be 2.46, 2 Mo 2.51
Be (0.5000, 0.0000, 0.5000)  12 Be 2.46, 2 Mo 2.51
Be (0.7403, 0.0097, 0.0098)  12 Be 2.05-2.29
Be (0.9902, 0.9902, 0.2598)  12 Be 2.05-2.29
Be (0.2598, 0.2598, 0.9902)  12 Be 2.05-2.29
Be (0.9903, 0.2597, 0.2598)  12 Be 2.05-2.29
Be (0.9903, 0.2597, 0.9902)  12 Be 2.05-2.29
Be (0.2597, 0.9903, 0.2598)  12 Be 2.05-2.29
Be (0.0097, 0.7403, 0.0098)  12 Be 2.05-2.29
Be (0.0098, 0.0098, 0.7402)  12 Be 2.05-2.29
Be (0.7402, 0.7402, 0.0098)  12 Be 2.05-2.29
Be (0.7403, 0.0097, 0.7402)  12 Be 2.05-2.29
Be (0.2597, 0.9903, 0.9902)  12 Be 2.05-2.29
Be (0.0097, 0.7403, 0.7402)  12 Be 2.05-2.29
Be (0.1761, 0.1761, 0.7044)  9 Be 2.14-2.35
Be (0.8239, 0.2956, 0.5566)  9 Be 2.14-2.35
Be (0.5566, 0.8239, 0.8239)  9 Be 2.14-2.35
Be (0.8239, 0.5566, 0.8239)  9 Be 2.14-2.35
Be (0.2956, 0.8239, 0.5566)  9 Be 2.14-2.35
Be (0.2956, 0.5566, 0.8239)  9 Be 2.14-2.35
Be (0.5566, 0.2956, 0.8239)  9 Be 2.14-2.35
Be (0.7044, 0.1761, 0.1761)  9 Be 2.14-2.35
Be (0.1761, 0.7044, 0.1761)  9 Be 2.14-2.35
Be (0.4434, 0.1761, 0.7044)  9 Be 2.14-2.35
Be (0.1761, 0.4434, 0.7044)  9 Be 2.14-2.35
Be (0.4434, 0.1761, 0.1761)  9 Be 2.14-2.35
Be (0.7044, 0.1761, 0.4434)  9 Be 2.14-2.35
Be (0.1761, 0.7044, 0.4434)  9 Be 2.14-2.35
Be (0.1761, 0.4434, 0.1761)  9 Be 2.14-2.35
Be (0.5566, 0.8239, 0.2956)  9 Be 2.14-2.35
Be (0.8239, 0.5566, 0.2956)  9 Be 2.14-2.35
Be (0.8239, 0.8239, 0.5566)  9 Be 2.14-2.35
Be (0.8239, 0.8239, 0.2956)  9 Be 2.14-2.35
Be (0.2956, 0.8239, 0.8239)  9 Be 2.14-2.35
Be (0.8239, 0.2956, 0.8239)  9 Be 2.14-2.35
Be (0.7044, 0.4434, 0.1761)  9 Be 2.14-2.35
Be (0.4434, 0.7044, 0.1761)  9 Be 2.14-2.35
Be (0.1761, 0.1761, 0.4434)  9 Be 2.14-2.35
Mo (0.3750, 0.3750, 0.3750)  16 Be 2.51-2.54
Mo (0.6250, 0.6250, 0.6250)  16 Be 2.51-2.54

* density: 2.5 Mg/m³
* E_tot: -5.337 eV per atom
* total moment: 0.00 μB per formula unit
* formation energy from the elements: -0.054 eV/atom

---

Entry 2:
Material: TaBe4Mo
Method: DFT, r2SCAN
State: optimized geometry

abc: 4.5355 4.5355 7.3825
angles: 90.00 90.00 120.00
Last column: nearest neighbours and their distance in Å.
Element x y z (fractional)
Ta (0.3333, 0.6667, 0.9290)  12 Be 2.64-2.71, 1 Mo 2.73, 3 Ta 2.82
Ta (0.6667, 0.3333, 0.0710)  12 Be 2.64-2.71, 1 Mo 2.73, 3 Ta 2.82
Be (0.0000, 0.0000, 0.5000)  6 Be 2.26
Be (0.0000, 0.0000, 0.0000)  6 Be 2.30
Be (0.6578, 0.8289, 0.2534)  6 Be 2.21-2.33
Be (0.1711, 0.8289, 0.2534)  6 Be 2.21-2.33
Be (0.1711, 0.3422, 0.2534)  6 Be 2.21-2.33
Be (0.3422, 0.1711, 0.7466)  6 Be 2.21-2.33
Be (0.8289, 0.1711, 0.7466)  6 Be 2.21-2.33
Be (0.8289, 0.6578, 0.7466)  6 Be 2.21-2.33
Mo (0.6667, 0.3333, 0.4402)  12 Be 2.60-2.66, 1 Ta 2.73, 3 Mo 2.76
Mo (0.3333, 0.6667, 0.5598)  12 Be 2.60-2.66, 1 Ta 2.73, 3 Mo 2.76

* density: 7.9 Mg/m³
* E_tot: -15.622 eV per atom
* total moment: 0.00 μB per formula unit
* formation energy from the elements: -0.286 eV/atom

---

Entry 3:
Material: Na2BeSiO4
Method: DFT, r2SCAN
State: optimized geometry

abc: 4.9349 7.0103 9.8886
angles: 90.01 90.00 90.00
Last column: nearest neighbours and their distance in Å.
Element x y z (fractional)
Na (0.2914, 0.0020, 0.6096)  4 O 2.30-2.38
Na (0.8169, 0.2657, 0.6408)  4 O 2.29-2.50
Na (0.3169, 0.7343, 0.8592)  4 O 2.29-2.50
Na (0.1831, 0.7343, 0.3592)  4 O 2.29-2.50
Na (0.6831, 0.2657, 0.1408)  4 O 2.29-2.50
Na (0.7914, 0.9980, 0.8904)  4 O 2.30-2.38
Na (0.2086, 0.0020, 0.1096)  4 O 2.30-2.38
Na (0.7086, 0.9980, 0.3904)  4 O 2.30-2.38
Be (0.6585, 0.4987, 0.4122)  4 O 1.60-1.67
=====

Result >
* formation energy from the elements: -0.054 eV/atom
* formation energy from the elements: -0.286 eV/atom